(Assignment)
Now give back only the lines underneath with the word "of" in them.
(File)
=====
A cluster of 6 separate species, C33H55INO19S in total, computed with ωB97M-V with the def2-TZVPD basis set.

Geometry as XYZ:
```
110
C33H55INO19S (ωB97M-V with the def2-TZVPD basis set)
I -0.015 -3.010 2.663
S -5.029 0.727 1.157
O 4.300 0.501 7.962
O -1.291 -0.413 5.763
O 3.113 -1.307 0.790
O -8.295 -0.331 -3.272
O 4.792 -0.115 -12.562
O 3.617 1.959 6.426
O 3.877 -2.164 -12.770
O -2.547 -2.284 5.806
O -9.166 1.275 -4.542
O 6.242 0.035 -6.473
O -8.785 -0.761 -5.432
O 5.789 -1.516 -4.904
O 4.373 -0.062 5.779
O 6.874 0.338 -4.333
O -5.548 -0.401 1.859
O 4.246 -1.262 -10.736
O -5.992 1.667 0.648
O -3.504 -0.329 5.351
O -4.031 1.545 2.082
N 2.385 -0.265 0.934
C 3.171 2.476 7.695
C 0.878 1.315 -0.293
C 4.266 -1.273 -12.089
C 4.104 1.749 8.638
C 2.774 -0.786 3.332
C -0.311 -1.092 1.734
C 3.245 3.980 7.728
C -4.480 -1.339 5.013
C 5.342 -2.561 -2.748
C 4.586 0.368 -8.954
C 6.297 -0.345 -5.348
C -5.877 -0.880 5.330
C -2.343 -0.955 5.652
C -3.462 -1.235 -0.124
C 1.917 -0.626 -1.422
C 2.392 1.548 2.634
C 1.989 0.065 2.335
C -4.004 0.200 -0.197
C -1.798 -0.690 1.818
C 4.126 0.719 6.636
C 4.913 0.790 -11.456
C -2.798 -1.678 1.194
C 0.462 -0.037 2.541
C -9.189 1.759 -3.193
C 0.132 -1.076 0.252
C 5.056 -0.155 -10.284
C 6.524 -0.326 -3.109
C 6.302 -1.748 -3.574
C -8.752 -0.016 -4.510
C -8.143 0.894 -2.527
C 1.313 -0.148 -0.086
C -8.318 0.669 -1.050
C -3.965 -2.504 5.828
H -7.663 -0.128 -0.703
H -2.332 -2.647 1.021
H 1.554 2.128 3.019
H 5.610 0.128 -2.719
H 0.004 0.922 2.293
H 4.422 -2.006 -2.560
H -4.308 -1.902 -0.299
H 4.524 -0.439 -8.231
H -10.186 1.588 -2.781
H 0.384 -2.075 -0.100
H -1.849 0.297 1.354
H 2.140 2.141 7.841
H 7.323 -0.221 -2.380
H 2.064 -1.699 -1.434
H -6.075 0.081 4.858
H 3.686 1.580 9.627
H 5.767 1.446 -11.598
H -8.962 2.822 -3.170
H 7.256 -2.271 -3.681
H -8.081 1.572 -0.498
H -4.682 0.279 -1.048
H 2.427 -0.582 4.338
H -9.343 0.371 -0.822
H -4.385 -1.542 3.946
H 5.071 -3.479 -3.268
H 3.998 1.384 -11.396
H -4.416 2.431 2.147
H 3.828 -0.542 3.236
H -3.208 0.923 -0.365
H 2.861 -0.102 -1.568
H 0.295 -0.178 3.609
H 0.561 1.481 -1.319
H 4.280 4.321 7.674
H 2.676 -1.851 3.139
H 2.713 4.405 6.878
H -3.590 -1.865 1.914
H -4.201 -3.475 5.401
H 2.828 2.023 1.758
H 3.593 0.813 -9.045
H -4.303 -2.467 6.866
H 5.790 -2.822 -1.790
H 2.796 4.361 8.645
=====
(Here it is)
A cluster of 6 separate species, C33H55INO19S in total, computed with ωB97M-V with the def2-TZVPD basis set.